How come the PM only pays 2.8% of his income in tax – Harawira
Posted on September 8, 2014 by admin in Hone Harawira, Press Releases“Before John Key talks about the piddling tax cuts he plans for low and middle income families today he needs to explain why he only pays 2.8% of his income on tax while a minimum wage worker pays 28% tax,” says MANA Movement leader Hone Harawira.
“How is it that workers are paying tax rates ten times higher than the Prime Minister?”
“If we all paid just 2.8% tax the country would collapse, so how does the PM get away with it?”
“Why are the likes of cleaners, fast-food workers, hotel workers, hospital staff and security guards all heavily subsidising the lifestyles of the super-rich?”
Last week our Economic Justice spokesperson John Minto explained how heavily rigged the tax system is against working New Zealanders and their families.
The minimum wage worker on 40 hours per week earns $29,640 and pays $4,207 in income tax and $4,149.60 in GST giving a total tax of $8,356.60 or 28%of income.
On the other hand the Prime Minister earns $428,000 from his PM’s salary along with this year’s $5,000,000 increase in his wealth (according to NBR’s rich list) which gives him a total income of $5,428,000. On this total income he pays just $132,160 in income tax and approximately $21,400 in GST giving a total tax of $153,560 or 2.8% of income.
This is a national embarrassment. Those least able to pay are under a heavy tax burden while the super-rich pay peanuts.
The National government and its attack bloggers refer to the working poor as scum, bludgers and ferals, but it’s clear the real problem is with the top 1% of income earners who get all the benefits of taxpayer funded facilities and services but don’t pull their weight paying for them.
No wonder inequality is out of control.
The problem is we have two sets of tax rates – one for the super-rich and another one for workers and their families.
John Key will say that Working for Families helps redistribute tax to low income families but a minimum wage worker with no dependants won’t qualify for Working for Families anyway but still pays 28% of their income in tax.
MANA is campaigning for an overhaul of the tax system so the Prime Minister and his rich-list colleagues pay their fair share.
MANA Movement policy addresses this by –
- A robust capital gains tax paid at the same rate as the person’s income tax
- A financial transactions tax on currency speculation to replace GST (Note: GST hits families on low incomes the hardest because the poorest 10% of income earners pay 14% of their income on GST while the wealthiest 10% pay less than 5% of their income on GST)
- Higher taxes on higher incomes
- An inheritance tax on estates over $500,000. (National abolished inheritance tax in the early 1990s allowing wealthy family dynasties to flourish at the expense of everyone else)
yvonne joel says:
Post Author September 8, 2014 at 10:38 amOh if only this fair and equable system could be introduced … Some sense at last!
Warren cresswell says:
Post Author September 8, 2014 at 10:57 amGood on you for showing how much these rich listers are creaming it at our expense let’s vote these leeches out in a fortnight
ns says:
Post Author September 8, 2014 at 3:11 pmIs the $5,000,000 actually income or just assumed income due to the NBR list? The IRD PAYE calculator suggests that he should have paid $134,124 on income of $428,000 (from his PM’s salary). I wonder how much tax Kim Dotcom pays…
John Rothery says:
Post Author September 8, 2014 at 5:29 pmSpot the difference
Sunday News August 10th 2008. Front page exclusive.
NZ Herald March 19th 2009.
“Mr Key, whose tax cut will be $98 a week, gives a “reasonable portion” of his $393,000 salary to charities and intends to continue doing so.”
ns says:
Post Author September 9, 2014 at 8:37 amInteresting that 2 papers would publish 2 different but arguably similar statements…. John, do you donate anything to charity?
pauline handley says:
-- Quantum chemistry results from another source follow --
┌──
[1]
DFT (ωB97M-V with the def2-TZVPD basis set) results for a 2-piece molecular cluster, C2H2N2O4 overall in a non-equilibrium geometry.

The geometry in XYZ format:
```
10
C2H2N2O4 (ωB97M-V with the def2-TZVPD basis set)
C -0.169 -0.232 0.286
C -1.111 -1.006 -1.868
N -0.261 -0.217 -0.913
N 1.381 1.091 0.730
O -0.663 -2.045 -2.295
O -0.417 -0.728 1.344
O -2.124 -0.417 -2.166
O 1.466 1.052 2.175
H 1.135 2.064 0.536
H 0.763 0.437 2.169
```

Results
- HOMO: 0.032 Eh
- Net charge: -2
- Energy above the lowest of the compared OMol25 structures with the same formula, charge and spin: 243.3 kJ/mol
- Total energy: -13273.1323 eV

---

[2]
DFT (ωB97M-V with the def2-TZVPD basis set) results for C38H67ClGeN11O2W as an isolated structure in a non-equilibrium geometry.

The geometry in XYZ format:
```
121
C38H67ClGeN11O2W (ωB97M-V with the def2-TZVPD basis set)
W 0.065 1.138 -0.126
C -2.502 -5.285 -1.382
N -2.425 -4.592 -2.648
C -3.083 -5.241 -3.759
C -2.295 -3.176 -2.632
N -1.226 -2.573 -2.275
C -0.025 -3.349 -2.098
C 1.274 -2.566 -2.228
N 1.689 -1.588 -1.214
C 2.938 -0.989 -1.652
C 2.897 0.491 -1.997
N 2.587 1.324 -0.812
C 3.602 1.956 -0.351
N 3.567 2.905 0.697
C 3.243 2.303 1.994
C 2.802 4.115 0.350
N 4.914 1.768 -0.873
C 5.696 0.818 -0.094
C 5.633 3.011 -1.107
C 1.798 -2.126 0.124
C 1.697 -1.007 1.176
N 0.392 -0.361 1.328
C -0.625 -1.236 2.069
N -1.157 -0.569 3.286
C -1.849 0.697 3.182
C -1.943 -1.410 4.186
N 0.026 -2.429 2.596
C -0.026 -3.756 2.059
C 0.845 -2.339 3.779
N -3.382 -2.477 -3.080
C -3.231 -1.072 -3.411
C -4.734 -2.934 -2.818
H -3.537 -5.566 -1.135
H -2.136 -4.640 -0.585
H -1.903 -6.203 -1.402
H -2.533 -6.149 -4.028
H -3.086 -4.573 -4.618
H -4.119 -5.535 -3.538
H 0.033 -4.131 -2.866
H -0.022 -3.885 -1.138
H 1.256 -2.051 -3.193
H 2.060 -3.344 -2.281
H 3.324 -1.545 -2.515
H 3.685 -1.094 -0.858
H 2.186 0.705 -2.786
H 3.888 0.749 -2.357
H 3.985 1.536 2.233
H 2.250 1.857 2.027
H 3.306 3.081 2.752
H 1.726 3.949 0.323
H 3.123 4.468 -0.632
H 3.039 4.882 1.086
H 6.595 0.557 -0.655
H 5.119 -0.091 0.072
H 6.002 1.221 0.882
H 5.062 3.638 -1.792
H 6.585 2.768 -1.580
H 5.824 3.576 -0.187
H 2.748 -2.670 0.281
H 0.992 -2.834 0.268
H 2.413 -0.231 0.898
H 2.067 -1.421 2.112
H -1.427 1.302 2.391
H -1.742 1.218 4.138
H -2.924 0.576 2.985
H -1.602 -2.441 4.190
H -3.008 -1.411 3.925
H -1.845 -1.004 5.200
H -0.615 -3.807 1.149
H -0.467 -4.460 2.784
H 0.984 -4.131 1.830
H 0.972 -1.299 4.066
H 1.833 -2.790 3.602
H 0.399 -2.878 4.629
H -2.344 -0.939 -4.030
H -3.119 -0.444 -2.526
H -4.107 -0.758 -3.981
H -4.734 -3.805 -2.168
H -5.260 -3.183 -3.747
H -5.293 -2.150 -2.307
Cl -0.326 4.901 -6.783
C -0.288 4.344 -5.116
C -0.381 5.277 -4.091
C -0.325 4.836 -2.772
C -0.175 3.483 -2.450
O -0.099 3.111 -1.199
C -0.106 2.535 -3.529
C -0.006 1.180 -3.208
O 0.017 0.747 -1.974
C -0.166 2.998 -4.863
H -0.501 6.327 -4.320
H -0.398 5.542 -1.953
H 0.032 0.426 -3.992
H -0.119 2.289 -5.681
N -1.697 0.604 0.106
C -2.466 -0.358 0.546
C -3.870 -0.268 0.516
C -4.701 -1.287 0.935
└──
Post Author September 9, 2014 at 9:52 amSo I’m cleaning toilets to subsidise John Keys Lifestyle
Murray Stewart says:
Post Author September 9, 2014 at 12:22 pmJohn Key obviously pays very little tax because he donates hundreds of thousands to charity every year.. and therefore gains huge tax deductions.
I would respectfully suggest that anyone whinging about JKs tax payments should declare how much they have donated to charity this year before we give their comments any credence whatsoever
ns says:
Post Author September 9, 2014 at 1:13 pm100% agree
mstewart says:
Post Author September 9, 2014 at 12:28 pmJeez.
Well you can bitch and moan on blogs or just get a good accountant like anyone successful does…